A simple guide to using FFmpeg to convert images to video

Have a bunch of images you’d like to tie together and create a video? Maybe you want to add simple text or audio??
FFmpeg is one of the ways you can convert images into an mp4 file. Developers simply love it. I will show you exactly how to do it, but I will also show you the alternative way using Plainly. Plainly is great if you want to set up video automation quickly and want something that’s more user-friendly with an incomparably smaller learning curve.
This tutorial will show you how to create a video slideshow with on-screen text and audio just from a few simple images. Let’s dive right in.
How to convert images using FFmpeg to create a simple slideshow
FFmpeg aims to be the best technical solution for developers who want to use this command line tool to convert multimedia files between formats. In other words, it’s a very fast video and audio converter that you can use to create a simple slideshow out of your still images.
If you have a sequence of images you want to turn into a slideshow, you need to specify those input images and output files.
If you haven’t downloaded FFmpeg by now, you should do it here. I highly recommend you choose packages and executable files that are already complied with and ready to go depending on your OS (Linux, Windows, or iOS).
After you’ve downloaded the FFmpeg, the next step would be to render the video (i.e. create a slideshow) based on your input. As i mentioned above, this is the command that you need to execute:
ffmpeg -framerate 1/2 -i image%03d.jpg -filter_complex "scale=1920:1080:force_original_aspect_ratio=decrease,pad=1920:1080:(ow-iw)/2:(oh-ih)/2" -pix_fmt yuv420p -r 30 outputvideo.mp4
Once you press “Enter”, it will trigger FFmpeg’s script and the slideshow video will appear.
Let’s just take a moment to clarify a few things from the command above. In this scenario, all of your images are in the same folder, in a sequence with proper naming. Here are other elements that I thought could use some clarification:
-framerate 1/2
the duration of one image, in this case it’s 2 seconds. Make sure to put this bit before your -input.
-i image%03d.jpg
the input that you’ll be using. %03d.jpg this part points to how you numbered your images, and what image file format you’ll be using.
-filter_complex scale=1920:1080:force_original_aspect_ratio=decrease,pad=1920:1080:(ow-iw)/2:(oh-ih)/2
during testing i had issues because the width of my images wasn’t divisible by 2 and i was using yuv 420p pixel format. To ensure that i don’t get this error, i added this command which will scale the images to 1920px by 1080px while keeping the aspect ratio. It will also add black boxes on the sides in the case of vertical images.
-pix_fmt yuv 420p
refers to your selected pixel format (this one is recommended because it increases the compatibility with most of the video players)
-r 30
Someone pasted records of crystals at this point:
........
Here is a relaxed structure of HAu2N from the Alexandria database. Energies are from PBE.

Cell: 5.7935 5.7935 5.7935 Å, 90.00 90.00 90.00°
Closest atoms and distances in Å follow each position.
Space group Fm-3m (No. 225)
Inequivalent atoms, fractional coordinates:
H: 0.0000 0.0000 0.0000  8 Au 2.51
Au: 0.2500 0.2500 0.2500  4 H 2.51, 4 N 2.51
N: 0.0000 0.0000 0.5000  8 Au 2.51

Calculated values
- Offset from the most stable computed form: 207 kJ/mol of formula units

=====

Here is a relaxed structure of HAu3N from the Alexandria database. Energies are from PBE.

Cell: 4.3405 4.3405 4.3405 Å, 90.00 90.00 90.00°
Closest atoms and distances in Å follow each position.
Space group Pm-3m (No. 221)
Inequivalent atoms, fractional coordinates:
H: 0.0000 0.0000 0.0000  12 Au 3.07
Au: 0.0000 0.5000 0.5000  2 N 2.17
N: 0.5000 0.5000 0.5000  6 Au 2.17

Calculated values
- Offset from the most stable computed form: 0 kJ/mol of formula units

=====

Here is a relaxed structure of Nb2HAuN from the Alexandria database. Energies are from PBE.

Cell: 5.0820 5.0820 3.1571 Å, 90.00 90.00 90.00°
Closest atoms and distances in Å follow each position.
Space group P4/mmm (No. 123)
Inequivalent atoms, fractional coordinates:
Nb: 0.0000 0.5000 0.0000  2 Au 2.54
H: 0.0000 0.0000 0.5000  2 Au 1.58
Au: 0.0000 0.0000 0.0000  2 H 1.58
N: 0.5000 0.5000 0.5000  8 Nb 2.99, 2 N 3.16

Calculated values
- DFT total energy: -5.373 eV per atom

=====

Here is a relaxed structure of Ni6HAu2N from the Alexandria database. Energies are from PBE.

Cell: 5.3500 5.3500 7.5983 Å, 90.00 90.00 90.00°
Closest atoms and distances in Å follow each position.
Space group I4/mmm (No. 139)
Inequivalent atoms, fractional coordinates:
Ni: 0.0000 0.0000 0.2496  1 H 1.90, 1 N 1.90
Ni: 0.2489 0.2489 0.0000  1 H 1.88, 1 N 1.90
H: 0.0000 0.0000 0.0000  6 Ni 1.88-1.90
Au: 0.0000 0.5000 0.2500  12 Ni 2.67-2.68
N: 0.0000 0.0000 0.5000  6 Ni 1.90

Calculated values
- DFT total energy: -5.289 eV per atom

=====

Here is a relaxed structure of HAu2NO from the Alexandria database. Energies are from PBE.

Cell: 4.7020 4.7020 2.6273 Å, 90.00 90.00 90.00°
Closest atoms and distances in Å follow each position.
Space group P4/mmm (No. 123)
Inequivalent atoms, fractional coordinates:
H: 0.0000 0.0000 0.0000  2 O 1.31
Au: 0.0000 0.5000 0.5000  2 O 2.35, 2 Au 2.63
N: 0.5000 0.5000 0.0000  2 N 2.63, 8 Au 2.69
O: 0.0000 0.0000 0.5000  2 H 1.31

Calculated values
- DFT total energy: -3.658 eV per atom

=====

Here is a relaxed structure of H2AuNO from the Alexandria database. Energies are from PBE.

Cell: 2.8568 2.8568 7.8759 Å, 90.00 90.00 90.00°
Closest atoms and distances in Å follow each position.
Space group P4/mmm (No. 123)
Inequivalent atoms, fractional coordinates:
H: 0.0000 0.5000 0.0000  2 O 1.43
Au: 0.0000 0.0000 0.5000  4 N 2.02
........
So much for the records of crystals:
the frame rate of your output video. In our case, this means 30 frames per second.
Since we’re using %03d.jpg make sure that your images are named properly and that they are in the correct file format. In our case they have to be named image001.jpg / image002.jpg / image003.jpg etc..
They have to be in the jpg format, and numbered with three digits (001, 002). If you change the format in the command to .png they can be .png format, and if you only have a handful of images (and a short slideshow) you can use %02d.png, to signify that your images are numbered image01.png / image02.png / image03.png...etc.
Pro tip: To make creating videos from images using FFmpeg easier, create a separate folder with all the images that you want to include in the video and have a clear naming system. For example, if you’re creating a slideshow video about teddy bears, you should name your images TeddyBear001, TeddyBear002, TeddyBear003, etc.
Issues that might pop up while trying to convert images to video using FFmpeg
Being open source, FFmpeg is under continuous development. This means that you may encounter problems as you try to try to convert images to video using FFmpeg. Luckily, you can always check FFmpeg’s Bug Report to see if there are any issues that are being worked on at the moment.
Here’s an example from Superuser of an issue that an FFmpeg user encountered:

As you can see if you read through the entire thread linked above, the issue occurred simply because the user named the file ffmpeg so that he can easily identify where it is, which caused the error. The workaround would be to execute the command from a different folder, but it was obviously easier just to rename the file.

Above you can see another example from Stackoverflow. Needless to say, it’s very important to name your images properly in order for the command to work.
To sum it up, what are the lessons here?
- Make sure to double-check if your path is correctly formatted and your name files follow the right nomenclature
- Check the official FFmpeg’s Bug Reports or submit your own to the bug tracker
- Make sure that you get the order of the commands right
- Put all image files in the same folder
- FFmpeg has comprehensive documentation and a list of commands you can use, but bear in mind that a simple lack of space or the wrong symbol (e.g. em dash instead of a regular dash) you type may cause an error.
Another common issue relates to playback to Quicktime and other codecs. If you scroll back up, you’ll see that I used -pix_fmt yuv 420p as the recommended format and I did so not without a reason. If you choose certain pixel formats such as 4:4:4 Planar and 4:2:2 Planar, it’s likely that your video won't work in some video players.
Adding audio while converting images to video with FFmpeg
Want to add an audio track to your video? Let’s use the first example I provided when talking about how to create a slideshow using FFmpeg. With a bit of modification of the original command, you can also add audio:
ffmpeg -framerate 1/2 -i image%03d.jpg -i audio.mp3 -filter_complex "scale=1920:1080:force_original_aspect_ratio=decrease,pad=1920:1080:(ow-iw)/2:(oh-ih)/2" -pix_fmt yuv420p -r 30 -t 00:00:22 outputvideo.mp4
-i audio.mp3
the name of your audio file
-t 00:00:22
this command will define how long is the output file. When i was testing, by default FFmpeg made my output file’s duration the same as my audio file. Some of the documentation said that you should be using -shortest, but that also gave me poor results (it cut the video in half). By adding -t and then HH:MM:SS you will be hardcoding the duration of the output video, but it’s always going to work. Just multiply the number of images you have by the duration of each image and add that to the command.
Again, just make sure to have all your files in the right places so that the command can be properly executed.
Did you know? I’ve already written about FFmpeg a while ago. Check out this guide on how to trim video using FFmpeg, it includes a video tutorial as well!
Adding text while converting images to video with FFmpeg
If you’ve been following by now you probably have a slideshow made out of a sequence of images, and background audio. But what about text? We can all agree that a slideshow without some text to accompany it is pretty boring.
I wanted to add multiple text lines at multiple points in the video and i realized that the easiest way to do that is to add hard coded captions. This means that it will burn text into video and it will appear the same way as if you used drawtext filter.
Since we’re already using the scale filter in order to make our images fit the video, we’ll need to stitch together a couple of video filters. The command that i ended up using is:
ffmpeg -framerate 1/2 -i image%03d.jpg -i audio.mp3 -filter_complex "scale=1920:1080:force_original_aspect_ratio=decrease,pad=1920:1080:(ow-iw)/2:(oh-ih)/2 , subtitles=text.srt:force_style='Alignment=10,OutlineColour=&H100000000,BorderStyle=3,Outline=1,Shadow=0,Fontsize=18" -pix_fmt yuv420p -r 30 -t 00:00:22 outputvideo.mp4
You’ll see that we bundled up the video filters under the -filter_complex command. Here’s what i added in order to get the on screen text.
subtitles=text.srt:force_style='Alignment=10,OutlineColor=&H100000000,BorderStyle=3,Outline=1, Shadow=0,Fontsize=18'
This is basically a command for adding hard coded captions with a bit of styling. You can style the captions to your liking. You’ll have to create your own SRT file but this is the fastest and easiest way to add text to your slideshow.
In the end, this is what we end up with. Pretty impressive results from just a few images and one line of code. You can also add transitions, but that’s something we’ll cover in another tutorial. Stay tuned for that.
There’s an easier way to automate video – with Plainly
I hope this simple guide to using FFmpeg to convert images to videos was useful to you. Of course, it only scratches the surface of what one tech-savvy person or a developer can do using FFmpeg, but I think it still offers a nice overview and actionable tips on how to use this command tool.
If FFmpeg feels too complex for you, it probably is. In all fairness, once you get in the hang of it, it can even be fun to play with commands and see what the output will look like. It can also get frustrating getting error messages without being able to spot what you did wrong.
Luckily, there is a better and much simpler way to convert images to video without you needing to write a single line of code. I created Plainly specifically because I wanted to automate video creation and make it accessible to anyone - regardless of their technical knowledge or background. Also, I’m a big believer in the no-code movement.
Plainly allows you to create 1000s of unique videos on autopilot, and yes - this includes converting images into videos. Let me show you how it works, it will only take 15 minutes of your time: book a demo with me and start rendering videos on autopilot.